Activity:
Now transcribe the whole of the block further below without altering anything.

Excerpt:
____________
Diffraction record for LiCo. The powder diffraction line list is simulated, not measured: it uses a cell relaxed with GGA-PBE and Cu Kα, 1.54184 Å.
Kinematic intensities with the Lorentz-polarization factor, no thermal factor.

Structure:
a b c (Å): 2.5360 2.5360 26.6722
angles (deg): 90.00 90.00 120.00
Positions (direct):
Li 0.0000 0.0000 0.1181
Li 0.0000 0.0000 0.8819
Li 0.3333 0.6667 0.5485
Li 0.3333 0.6667 0.7848
Li 0.6667 0.3333 0.2152
Li 0.6667 0.3333 0.4515
Co 0.0000 0.0000 0.3699
Co 0.0000 0.0000 0.6301
Co 0.3333 0.6667 0.0366
Co 0.3333 0.6667 0.2967
Co 0.6667 0.3333 0.7033
Co 0.6667 0.3333 0.9634

Most intense lines, 2θ from 15° to 90°, sorted by position:
hkl  d [Å]  intensity
0 0 12  2.223  35
1 0 1  2.189  39
1 0 4  2.086  100
0 1 5  2.031  21
1 0 7  1.903  42
0 1 8  1.834  62
0 1 11  1.628  29
1 0 16  1.328  16
1 1 0  1.268  18
1 1 12  1.101  19

* * * * *

No. 1
For Y3Bi2Sb, a DFT-relaxed cell (PBE, Alexandria) gives the computed PXRD pattern in this record (Cu Kα X-rays).
Neutral-atom scattering factors, no anomalous dispersion.

```
Y3Bi2Sb
1.0
0.000 6.295 13.350
4.452 0.000 13.350
4.452 6.295 0.000
Y Bi Sb
12 8 4
Cartesian
3.318 1.547 7.760 Y
5.612 4.721 10.013 Y
3.361 1.547 12.265 Y
5.587 4.694 14.435 Y
7.838 7.869 16.688 Y
5.544 4.694 18.940 Y
3.361 7.895 7.760 Y
1.067 4.721 10.013 Y
3.318 7.895 12.265 Y
5.544 11.043 14.435 Y
3.293 7.869 16.688 Y
5.587 11.043 18.940 Y
3.339 4.721 3.351 Bi
3.339 4.721 7.805 Bi
5.566 7.869 10.026 Bi
3.339 4.721 12.221 Bi
5.566 7.869 14.480 Bi
3.339 4.721 16.674 Bi
5.566 7.869 18.896 Bi
5.566 7.869 23.349 Bi
1.113 1.574 1.113 Sb
1.113 1.574 5.562 Sb
7.792 11.016 21.138 Sb
7.792 11.016 25.588 Sb
```

Top 8 peaks for 2θ from 10° to 80°, sorted by position:
| 2θ/deg | d (Å) | I/Imax |
| --- | --- | --- |
| 24.5 | 3.634 | 19 |
| 28.4 | 3.148 | 100 |
| 40.5 | 2.226 | 77 |
| 47.9 | 1.898 | 11 |
| 50.2 | 1.817 | 28 |
| 58.7 | 1.574 | 13 |
| 66.4 | 1.408 | 36 |
| 73.7 | 1.285 | 26 |



No. 2
For U4C3, a DFT-relaxed cell (PBE, Alexandria) gives the computed PXRD pattern in this record (Cu Kα X-rays).
Neutral-atom scattering factors, no anomalous dispersion.

```
U4C3
1.0
5.728 -1.629 0.000
5.728 1.629 0.000
-2.338 0.000 5.820
U C
4 3
Cartesian
0.123 0.000 2.627 U
3.950 0.000 0.035 U
5.168 0.000 5.785 U
8.996 0.000 3.194 U
0.000 0.000 0.000 C
2.272 0.000 1.820 C
6.846 0.000 4.001 C
```

Top 8 peaks for 2θ from 10° to 80°, sorted by position:
| 2θ/deg | d (Å) | I/Imax |
| --- | --- | --- |
| 30.7 | 2.910 | 88 |
| 31.1 | 2.880 | 57 |
| 33.7 | 2.658 | 49 |
| 34.1 | 2.629 | 100 |
| 36.3 | 2.475 | 51 |
| 36.8 | 2.445 | 84 |
| 52.7 | 1.738 | 49 |
| 58.8 | 1.571 | 30 |



No. 3
For Ca3CuIrO6, a DFT-relaxed cell (PBE, Alexandria) gives the computed PXRD pattern in this record (Cu Kα X-rays).
Neutral-atom scattering factors, no anomalous dispersion.

```
Ca3CuIrO6
1.0
4.574 -4.684 0.000
4.574 4.684 0.000
-0.002 0.000 6.507
Ca Cu Ir O
6 2 2 12
Cartesian
4.572 3.783 4.880 Ca
2.879 0.711 5.731 Ca
2.880 -0.711 2.477 Ca
6.266 0.711 4.030 Ca
6.267 -0.711 0.776 Ca
4.573 -3.783 1.627 Ca
4.573 1.772 1.627 Cu
4.572 -1.772 4.880 Cu
2.286 2.342 3.254 Ir
2.287 -2.342 0.000 Ir
1.310 0.623 3.672 O
2.584 1.725 1.348 O
1.311 -0.623 0.418 O
4.069 1.421 3.544 O
5.076 1.421 6.217 O
2.583 -1.725 4.601 O
6.563 1.725 1.906 O
4.070 -1.421 0.290 O
5.077 -1.421 2.963 O
7.835 0.623 6.089 O
6.562 -1.725 5.160 O
7.836 -0.623 2.836 O
```

Top 8 peaks for 2θ from 10° to 80°, sorted by position:
| 2θ/deg | d (Å) | I/Imax |
| --- | --- | --- |
| 18.9 | 4.684 | 28 |
| 19.2 | 4.614 | 100 |
| 19.4 | 4.574 | 18 |
| 33.3 | 2.691 | 46 |
| 33.8 | 2.650 | 47 |
| 39.0 | 2.307 | 22 |
| 43.8 | 2.069 | 20 |
| 44.0 | 2.058 | 37 |



No. 4
For Hf3Ir2, a DFT-relaxed cell (PBE, Alexandria) gives the computed PXRD pattern in this record (Cu Kα X-rays).
Neutral-atom scattering factors, no anomalous dispersion.

```
Hf3Ir2
1.0
10.452 0.000 0.000
0.000 3.437 0.000
0.000 0.000 11.004
Hf Ir
12 8
Cartesian
0.599 0.859 1.445 Hf
1.370 2.578 6.036 Hf
____________

Solution:
Diffraction record for LiCo. The powder diffraction line list is simulated, not measured: it uses a cell relaxed with GGA-PBE and Cu Kα, 1.54184 Å.
Kinematic intensities with the Lorentz-polarization factor, no thermal factor.

Structure:
a b c (Å): 2.5360 2.5360 26.6722
angles (deg): 90.00 90.00 120.00
Positions (direct):
Li 0.0000 0.0000 0.1181
Li 0.0000 0.0000 0.8819
Li 0.3333 0.6667 0.5485
Li 0.3333 0.6667 0.7848
Li 0.6667 0.3333 0.2152
Li 0.6667 0.3333 0.4515
Co 0.0000 0.0000 0.3699
Co 0.0000 0.0000 0.6301
Co 0.3333 0.6667 0.0366
Co 0.3333 0.6667 0.2967
Co 0.6667 0.3333 0.7033
Co 0.6667 0.3333 0.9634

Most intense lines, 2θ from 15° to 90°, sorted by position:
hkl  d [Å]  intensity
0 0 12  2.223  35
1 0 1  2.189  39
1 0 4  2.086  100
0 1 5  2.031  21
1 0 7  1.903  42
0 1 8  1.834  62
0 1 11  1.628  29
1 0 16  1.328  16
1 1 0  1.268  18
1 1 12  1.101  19

* * * * *

No. 1
For Y3Bi2Sb, a DFT-relaxed cell (PBE, Alexandria) gives the computed PXRD pattern in this record (Cu Kα X-rays).
Neutral-atom scattering factors, no anomalous dispersion.

```
Y3Bi2Sb
1.0
0.000 6.295 13.350
4.452 0.000 13.350
4.452 6.295 0.000
Y Bi Sb
12 8 4
Cartesian
3.318 1.547 7.760 Y
5.612 4.721 10.013 Y
3.361 1.547 12.265 Y
5.587 4.694 14.435 Y
7.838 7.869 16.688 Y
5.544 4.694 18.940 Y
3.361 7.895 7.760 Y
1.067 4.721 10.013 Y
3.318 7.895 12.265 Y
5.544 11.043 14.435 Y
3.293 7.869 16.688 Y
5.587 11.043 18.940 Y
3.339 4.721 3.351 Bi
3.339 4.721 7.805 Bi
5.566 7.869 10.026 Bi
3.339 4.721 12.221 Bi
5.566 7.869 14.480 Bi
3.339 4.721 16.674 Bi
5.566 7.869 18.896 Bi
5.566 7.869 23.349 Bi
1.113 1.574 1.113 Sb
1.113 1.574 5.562 Sb
7.792 11.016 21.138 Sb
7.792 11.016 25.588 Sb
```

Top 8 peaks for 2θ from 10° to 80°, sorted by position:
| 2θ/deg | d (Å) | I/Imax |
| --- | --- | --- |
| 24.5 | 3.634 | 19 |
| 28.4 | 3.148 | 100 |
| 40.5 | 2.226 | 77 |
| 47.9 | 1.898 | 11 |
| 50.2 | 1.817 | 28 |
| 58.7 | 1.574 | 13 |
| 66.4 | 1.408 | 36 |
| 73.7 | 1.285 | 26 |



No. 2
For U4C3, a DFT-relaxed cell (PBE, Alexandria) gives the computed PXRD pattern in this record (Cu Kα X-rays).
Neutral-atom scattering factors, no anomalous dispersion.

```
U4C3
1.0
5.728 -1.629 0.000
5.728 1.629 0.000
-2.338 0.000 5.820
U C
4 3
Cartesian
0.123 0.000 2.627 U
3.950 0.000 0.035 U
5.168 0.000 5.785 U
8.996 0.000 3.194 U
0.000 0.000 0.000 C
2.272 0.000 1.820 C
6.846 0.000 4.001 C
```

Top 8 peaks for 2θ from 10° to 80°, sorted by position:
| 2θ/deg | d (Å) | I/Imax |
| --- | --- | --- |
| 30.7 | 2.910 | 88 |
| 31.1 | 2.880 | 57 |
| 33.7 | 2.658 | 49 |
| 34.1 | 2.629 | 100 |
| 36.3 | 2.475 | 51 |
| 36.8 | 2.445 | 84 |
| 52.7 | 1.738 | 49 |
| 58.8 | 1.571 | 30 |



No. 3
For Ca3CuIrO6, a DFT-relaxed cell (PBE, Alexandria) gives the computed PXRD pattern in this record (Cu Kα X-rays).
Neutral-atom scattering factors, no anomalous dispersion.

```
Ca3CuIrO6
1.0
4.574 -4.684 0.000
4.574 4.684 0.000
-0.002 0.000 6.507
Ca Cu Ir O
6 2 2 12
Cartesian
4.572 3.783 4.880 Ca
2.879 0.711 5.731 Ca
2.880 -0.711 2.477 Ca
6.266 0.711 4.030 Ca
6.267 -0.711 0.776 Ca
4.573 -3.783 1.627 Ca
4.573 1.772 1.627 Cu
4.572 -1.772 4.880 Cu
2.286 2.342 3.254 Ir
2.287 -2.342 0.000 Ir
1.310 0.623 3.672 O
2.584 1.725 1.348 O
1.311 -0.623 0.418 O
4.069 1.421 3.544 O
5.076 1.421 6.217 O
2.583 -1.725 4.601 O
6.563 1.725 1.906 O
4.070 -1.421 0.290 O
5.077 -1.421 2.963 O
7.835 0.623 6.089 O
6.562 -1.725 5.160 O
7.836 -0.623 2.836 O
```

Top 8 peaks for 2θ from 10° to 80°, sorted by position:
| 2θ/deg | d (Å) | I/Imax |
| --- | --- | --- |
| 18.9 | 4.684 | 28 |
| 19.2 | 4.614 | 100 |
| 19.4 | 4.574 | 18 |
| 33.3 | 2.691 | 46 |
| 33.8 | 2.650 | 47 |
| 39.0 | 2.307 | 22 |
| 43.8 | 2.069 | 20 |
| 44.0 | 2.058 | 37 |



No. 4
For Hf3Ir2, a DFT-relaxed cell (PBE, Alexandria) gives the computed PXRD pattern in this record (Cu Kα X-rays).
Neutral-atom scattering factors, no anomalous dispersion.

```
Hf3Ir2
1.0
10.452 0.000 0.000
0.000 3.437 0.000
0.000 0.000 11.004
Hf Ir
12 8
Cartesian
0.599 0.859 1.445 Hf
1.370 2.578 6.036 Hf